Chapter 3

The training room was a completely plain white twenty-inch twenty arena with a few benches and a vending machine on one side. The rest was completely empty without a speck of dust and a scientist came in rushing with a large suitcase. She wore a similar coat and a dangly earpiece on her left side. Her smile reached from ear-to-ear and her eyes were as bright as the sun.

"I'm Claire Smith, assistant manager in the Management of TMS department. I got ahold of the latest modal and I would love to witness you guys using the new prototype before we can make it official!" She explained happily while placing it on the floor and opening it with a click of the locks.

As the lid sprang open, they gawked at the miniature devices. It was as small as a hearing aid and their smiles dropped. Hong Gil was the one who broke the silence. "Is that really it?"

Claire looked at him scandalously before she huffed, "For your information, these little babies will connect with your brain membrane cells and calculate your imagination sequence that recalibrates your-"

"Can I try it on?" Petra interrupted, hoping for the biological explanation to be put on hold. "I would love to feel the…uh, 'imagination sequence being recalibrated' right now!"

Claire nodding in agreement and let Petra placed one into her ear before she turned to face the walls. With an arm lifted, they were taken back by the sudden thunderclouds forming into the sky and began drizzling. The water hit their feet and she let out a shaky breath and nodded.

"That felt awesome," she complimented while pulling it out with a smile. "You guys have to try it on!"

Records of molecules that have nothing to do with the piece =
┌──
{"formula": "C5H8O2S", "method": "ωB97M-V with the def2-TZVPD basis set", "de_lowest_ev": 0.346, "multiplicity": 1, "charge": 0, "smiles": "C=CC[C@H](S)C(=O)O", "gap_ev": 10.35, "elements": ["C", "C", "C", "C", "S", "C", "O", "O", "H", "H", "H", "H", "H", "H", "H", "H"], "positions_angstrom": [[-2.257, 1.266, -0.849], [-1.568, 0.689, 0.137], [-0.091, 0.800, 0.325], [0.658, -0.503, 0.029], [0.188, -1.885, 1.134], [2.181, -0.273, 0.057], [2.663, 0.823, -0.065], [2.956, -1.374, 0.156], [-3.349, 1.172, -0.909], [-1.768, 1.906, -1.593], [-2.121, 0.070, 0.864], [0.129, 1.099, 1.376], [0.299, 1.550, -0.348], [0.432, -0.827, -0.984], [-0.750, -2.363, 0.351], [2.399, -2.150, 0.318]], "lowdin_charge": [0.006, -0.214, -0.239, -0.539, 0.821, -0.543, 0.118, 0.082, 0.058, 0.065, 0.097, 0.137, 0.112, 0.123, -0.133, 0.048]}

=====

{"formula": "C6H11N", "method": "ωB97M-V with the def2-TZVPD basis set", "de_lowest_ev": 1.720, "multiplicity": 1, "charge": 0, "smiles": "C=C(CC)CC#N.[H][H]", "gap_ev": 10.97, "elements": ["C", "C", "C", "C", "C", "C", "N", "H", "H", "H", "H", "H", "H", "H", "H", "H", "H", "H"], "positions_angstrom": [[-1.034, -1.207, 0.200], [-0.083, -0.281, 0.288], [0.143, 0.844, -0.691], [-1.035, 1.166, -1.601], [0.882, -0.284, 1.460], [0.407, 0.704, 2.437], [-0.041, 1.495, 3.152], [-1.112, -2.004, 0.936], [-1.767, -1.207, -0.601], [0.424, 1.744, -0.126], [1.030, 0.588, -1.293], [-1.318, 0.305, -2.215], [-0.782, 1.988, -2.277], [-1.906, 1.465, -1.009], [1.896, -0.009, 1.141], [0.942, -1.267, 1.938], [2.049, -2.019, -0.890], [1.305, -2.022, -0.850]], "lowdin_charge": [0.047, -0.395, -0.231, -0.108, -0.169, -0.221, 0.145, 0.074, 0.064, 0.116, 0.112, 0.070, 0.073, 0.084, 0.120, 0.120, 0.059, 0.036]}

=====
└──
Back to the piece =

Fleur, Lewis, and Hong Gil did so, each amazing the rest with their capabilities. When Zuriana's turn came up, she nodded shorty and took the contraption into her ear, and stared at the ceiling. The others joined her gaze upward, wondering what she would do. They could only gawp in silent amazement.

The plain white ceiling had changed into a dark blue arena with blinking stars and occasional streams of asteroids passing them. When they lowered their gazes to their feet, they could see themselves on a green and blue orb that resembled their planet, Earth. Claire was jumping in ecstasy and opened her mouth to speak, only for her words to get lost at the sight of something approaching from beyond. A flaming large-scaled meteor was rapidly growing at the size and they were horrified to see it aiming at Zuriana herself. The girls' pupils were diluted in fear and total concentration as they kept coming closer. The others tried to move but they couldn't move.

But apparently, the force wasn't on Kousuke who rushed to her side and gave her shoulders a jerk, catching her off guard and the imagination displays to blink out of sight. She blinked rapidly in confusion before glancing at them each with a look of apology.

"S-Sorry, guys," stuttered the Muslim while her hands awkwardly fumbled to get the earpiece out of her ear. "I-I don't know w-what got into me."

Kousuke watched her bow stiffly before heading straight for the door. He gave the others a look of concern. They shared the same emotion but didn't know what to do. Lewis quickly suggested, "You're a doctor, right? Go check her out."

He obliged immediately and began his way to the girls' room. He stopped in front of it and listened intently to any sound from the other side. He could hear a ferocious sound of scratching pencil upon paper and gave a knock.

The sound of scratching halted and the soft voice asked, "Who is it?"

"Just me, Kousuke the Nurse," he answered without much thought. "You okay in there?"

"Y-Yeah," muttered the girl. Kousuke could hear her fumbling around in the room before the door was yanked open and he saw her in a messy loose hijab and a hoodie covering her face. "W-What's up? I'm fine!"

He examined her from head to toe, taking in the twitching fingers at her side and her tapping toes. 'She's anxious about something. But she doesn't seem to be injured or anything…' His eyes moved to the room and took in the messy bedspreads and he sighed. 'But she's hiding something.' "Can I come in for a second? We need to talk about what happened."

She looked surprised at his idea but nodded feverishly before asking for a minute to clean up. He let her do so and waited outside, hearing the sound of drawers opening and closing in a rush. When she opened the door, her hijab was fixed and the hoodie was off, revealing the flushed expression she upheld. She took a step back for him to enter and he went in before she closed the door. They stood in silence for a moment before she asked, "What did you want to ask me?"

"You were hiding something under your sheets just now. And I heard pencil scratches," he explained, catching her off guard of his attentiveness. "I'm not stupid, Zuriana. Were you writing?"

She bit her lower lip, considering the idea of answering truthfully before sidetracking, and said, "None of your business, doc. I'm just resting, that's all."

Kousuke took in the way her eyes trailed to her left side and he let out a heavy sigh before approaching the dresser that had three drawers. He didn't need to be Sherlock Holmes to recognize the stickers of Petra's and Fleur's perfume stanch from the top. He leaned down and casually pulled open the locker, getting a yell from the Muslim. He wasn't surprised to see a thick book and a pencil on top of her the neat piles of clothing.

"So, let me see your secrets," he hummed while opening it.

Zuriana hurried to his side to grab it from his grasps, only for him to lift it out of her reach. She tried jumping but failed miserably and growled. "That's a preach in privacy. You shouldn't be doing this, less to a girl."

"Well, I'm your counsellor, missy," he added, making her look livid. "So I have the authority to see these kinds of things you-"

(Someone pasted records of molecules at this point)
********
53
Properties=species:S:1:pos:R:3 method="wB97M-V/def2-TZVPD" homo_lumo_gap_ev="5.68 / 5.75" multiplicity=2 homo_ev="-15.05 / -15.12" total_energy_ha=-1074.96043 total_charge=+2 e_lumo_ha="-0.3443 / -0.3444" molar_mass_da=307.55
C -3.58 -2.23 -1.48
C -3.04 -1.05 -2.35
B -2.48 0.18 -1.52
O -3.21 1.34 -1.56
C -1.09 0.15 -0.68
C -1.39 0.78 0.74
C -0.72 2.13 1.12
C 0.51 2.05 2.05
C 0.14 1.78 3.55
N 1.10 0.84 4.22
C -0.61 -1.31 -0.48
C 0.86 -1.50 -0.01
C 1.44 -2.81 -0.61
C 0.84 -1.78 1.53
N 1.73 -0.32 -0.20
O 2.88 -0.60 -0.17
C 1.44 0.53 -1.38
C 2.03 -0.03 -2.71
C 2.19 1.88 -1.16
C -0.05 0.88 -1.58
H -3.19 -2.21 -0.47
H -3.25 -3.16 -1.95
H -4.66 -2.22 -1.52
H -2.25 -1.38 -3.03
H -3.85 -0.72 -3.00
H -2.58 2.08 -1.50
H -1.16 0.07 1.54
H -2.47 0.93 0.82
H -0.45 2.77 0.28
H -1.46 2.70 1.69
H 1.02 3.01 2.00
H 1.24 1.29 1.74
H -0.86 1.37 3.64
H 0.25 2.72 4.06
H 1.96 0.82 3.69
H 0.74 -0.10 4.25
H -0.71 -1.88 -1.41
H -1.23 -1.80 0.26
H 1.68 -2.72 -1.67
H 0.71 -3.59 -0.44
H 2.31 -3.09 -0.03
H 1.87 -2.03 1.80
H 0.61 -0.88 2.08
H 0.19 -2.61 1.78
H 1.74 0.68 -3.48
H 3.11 -0.13 -2.65
H 1.52 -0.97 -2.96
H 3.27 1.74 -1.18
H 1.89 2.35 -0.23
H 1.92 2.56 -1.96
H -0.28 0.58 -2.61
H -0.17 1.96 -1.60
Mg 3.52 0.96 4.72

* * * * *

one:
76
Properties=species:S:1:pos:R:3 method="wB97M-V/def2-TZVPD" homo_lumo_gap_ev=6.78 homo_energy_ev=-10.5 total_charge=+1
Ta 0.31 0.90 -0.60
C 2.91 -1.63 -2.31
P 1.43 -1.67 -1.22
C 0.59 -3.11 -2.00
C 1.98 -2.30 0.41
C 1.71 -3.60 0.82
C 1.96 -3.99 2.12
C 2.46 -3.08 3.04
C 2.74 -1.79 2.64
C 2.52 -1.38 1.33
P 2.83 0.33 0.77
C 4.61 0.25 0.30
C 3.05 1.30 2.33
H 3.49 -2.55 -2.20
H 3.54 -0.76 -2.10
H 2.56 -1.53 -3.34
H 1.28 -3.94 -2.08
H 0.26 -2.82 -3.00
H -0.28 -3.40 -1.42
H 1.29 -4.31 0.14
H 1.72 -5.00 2.43
H 2.62 -3.37 4.06
H 3.11 -1.08 3.37
H 5.20 -0.04 1.17
H 4.92 1.24 -0.03
H 4.78 -0.47 -0.50
H 3.96 0.95 2.82
H 2.21 1.18 3.01
H 3.17 2.35 2.08
S 1.96 1.60 -2.39
C 0.71 2.55 -3.11
C 0.89 3.45 -4.16
C -0.22 4.17 -4.57
C -1.45 3.96 -3.96
C -1.53 3.03 -2.94
N -0.47 2.33 -2.53
H 1.86 3.59 -4.60
H -0.12 4.90 -5.36
H -2.32 4.52 -4.26
H -2.46 2.81 -2.43
O 0.11 -0.27 3.25
C -0.08 0.62 2.44
O 0.08 0.43 1.15
C -0.47 1.99 2.85
C -0.72 2.17 4.21
C -1.10 3.38 4.73
C -1.23 4.48 3.88
C -0.98 4.33 2.53
C -0.60 3.10 1.99
S -0.33 3.12 0.26
H -0.62 1.29 4.84
H -1.29 3.49 5.79
H -1.52 5.44 4.27
H -1.09 5.17 1.86
C -4.00 -2.55 1.11
N -2.87 -1.66 1.24
C -1.64 -2.40 1.13
C -2.94 -0.44 0.45
C -2.62 -0.59 -1.03
C -3.62 -1.12 -1.85
C -3.41 -1.33 -3.20
C -2.18 -1.03 -3.75
C -1.19 -0.49 -2.94
C -1.39 -0.24 -1.59
H -3.94 -3.29 1.91
H -4.02 -3.10 0.16
H -4.93 -2.00 1.23
H -1.60 -3.12 1.94
H -0.78 -1.73 1.23
H -1.56 -2.94 0.17
H -2.26 0.28 0.91
H -3.96 -0.05 0.55
H -4.58 -1.36 -1.41
H -4.21 -1.71 -3.81
H -2.00 -1.20 -4.80
H -0.23 -0.25 -3.40

two:
76
Properties=species:S:1:pos:R:3 method="wB97M-V/def2-TZVPD" homo_lumo_gap_ev=6.49 homo_energy_ev=-10.0 total_charge=+1
Ta 0.16 -0.20 0.02
C -3.22 2.01 0.24
P -1.85 1.54 -0.85
C -1.24 3.18 -1.37
C -2.71 0.80 -2.28
********

He stopped at the sight of messy scribbles and arrows pointing at names, planets, and ideas. Kousuke tried deciphering the words and could make out 'Earth in mortal danger' and 'Title (?)'. He couldn't stop his lips curling to a smile as he muttered, "Ideas?"

The girl looked embarrassed and jerked her face away before nodded in affirmation. Kousuke gave a kind smile and punched her shoulder lightly before saying, "If that helps, then I won't question."

He left the room just like that, leaving Zuriana staring at nothing with a red face. She was astonished about his actions, 'He didn't press on?' She hurried outside to ask Kousuke why he hadn't asked as everyone else did in her life. But she was alarmed by an announcement.

"To Mr Tachibana, Master Caulfer, Miss Dominic, Master Park, Miss Dressler, Miss Abdul Razak and Mrs Simmons; please head to Meeting Room Alpha for an emergency meeting. Dr Nickilopus Van Hugh is waiting to explain everything. Thank you," the announcement finished, leaving a slight buzz in the air.

Kousuke glanced over his shoulder at Zuriana with a look of concern and they shared nods before heading straight for the infirmary to get the others.